My Obsession with Eyebrows

I’ve done a few degrees, but I think I am now doing a post-doc in eyebrows.  I never really thought much about eyebrows, really.  They are just kinda there, aren’t they?  The first time I paid attention to eyebrows was with my dad, whose eyebrows are, I admit, quite impressive.  While he has precious little hair on his head, he makes up for that in the eyebrow department and they tend to look like flirtatious window dressing for his eye glasses.  I recall talking to one of his neighbours who confided to me: “Your dad has the sexiest eyebrows.”  Really?  Eyebrows can be sexy?

The second time I really paid attention to eyebrows was when my partner and I were on a ‘dog free’ vacation in the interior of British Columbia (Canada).  My RO DBT colleagues and clients know that I am very fond of dogs and spend a considerable amount of time dedicated to volunteer pet therapy and often have a canine co-therapist in my practice.  However, for this vacation we were blissfully dog free – not a dog bowl, leash or poop bag to be found in our mini-van bought for said dogs.  Agh, but what was found?  The conversation kinda went like this:

Nicole: “Honey slow down!  Is that a coyote running across the highway up there?”

Deanne: “Oh dear. That is not a coyote; that is a dog.”

It was a dog alright.  Scared, starved and stinky.  While it is outside the scope of this blog to get into the details of the actual rescue, suffice to say we suddenly had a feral dog on our hands.  And the first thing we did when we got back to Victoria was to call our dog trainer:

[Crystal structures, kept here for reference]
(1)
VASP calculation (PBE) on a relaxed NbBiRh crystal.

Final energy in Ry/atom: -0.529
Total moment in μB/f.u.: 0.0
Space-group type: Cm, No. 8

abc: 9.6995 3.5246 7.4009
angles: 90.00 101.72 90.00
Last column: nearest neighbours and their distance in Å.
Element x y z (fractional)
Nb: 0.0000 0.0000 0.0000  2 Rh 2.71, 2 Nb 2.91, 3 Bi 2.96-3.00
Nb: 0.2306 0.5000 0.1632  5 Rh 2.64-2.91, 2 Nb 2.91
Nb: 0.5000 0.5000 0.0000  2 Rh 2.71, 2 Nb 2.91, 3 Bi 2.96-3.00
Nb: 0.7306 0.0000 0.1632  5 Rh 2.64-2.91, 2 Nb 2.91
Bi: 0.2551 0.0000 0.8389  5 Nb 2.96-3.03, 2 Rh 3.06-3.31
Bi: 0.4342 0.5000 0.5546  5 Rh 2.84-2.93, 1 Nb 3.16
Bi: 0.7551 0.5000 0.8389  5 Nb 2.96-3.03, 2 Rh 3.06-3.31
Bi: 0.9342 0.0000 0.5546  5 Rh 2.84-2.93, 1 Nb 3.16
Rh: 0.1963 0.0000 0.4165  2 Nb 2.64, 3 Bi 2.92-2.93
Rh: 0.4539 0.0000 0.2592  5 Nb 2.71-2.91, 2 Bi 2.84, 3 Rh 2.96-2.98
Rh: 0.6963 0.5000 0.4165  2 Nb 2.64, 3 Bi 2.92-2.93
Rh: 0.9539 0.5000 0.2592  5 Nb 2.71-2.91, 2 Bi 2.84, 3 Rh 2.96-2.98

(2)
VASP calculation (PBE) on a relaxed Cs2Cd4In3Hg crystal.

Final energy in Ry/atom: -0.107
Total moment in μB/f.u.: 0.0
Space-group type: P-4m2, No. 115

abc: 5.3958 5.3958 11.5416
angles: 90.00 90.00 90.00
Last column: nearest neighbours and their distance in Å.
Element x y z (fractional)
Cs: 0.0000 0.5000 0.2470  7 In 3.92-4.31, 2 Hg 3.92, 9 Cd 3.98-4.24
Cs: 0.5000 0.0000 0.7530  7 In 3.92-4.31, 2 Hg 3.92, 9 Cd 3.98-4.24
Cd: 0.0000 0.0000 0.5000  4 In 3.03
Cd: 0.0000 0.5000 0.8795  3 In 2.99-3.04, 2 Hg 3.04
Cd: 0.5000 0.0000 0.1205  3 In 2.99-3.04, 2 Hg 3.04
Cd: 0.5000 0.5000 0.5000  4 In 3.03
In: 0.0000 0.0000 0.0000  4 Cd 3.04
In: 0.0000 0.5000 0.6200  5 Cd 2.99-3.03
In: 0.5000 0.0000 0.3800  5 Cd 2.99-3.03
Hg: 0.5000 0.5000 0.0000  4 Cd 3.04

(3)
VASP calculation (PBE) on a relaxed NpCuSn crystal.

Final energy in Ry/atom: -0.509
Total moment in μB/f.u.: 4.0
Space-group type: F-43m, No. 216

abc: 6.5435 6.5435 6.5435
angles: 90.00 90.00 90.00
Last column: nearest neighbours and their distance in Å.
Element x y z (fractional)
Np: 0.0000 0.0000 0.0000  4 Cu 2.83
Np: 0.0000 0.5000 0.5000  4 Cu 2.83
Np: 0.5000 0.0000 0.5000  4 Cu 2.83
Np: 0.5000 0.5000 0.0000  4 Cu 2.83
Cu: 0.2500 0.2500 0.7500  4 Sn 2.83, 4 Np 2.83
Cu: 0.2500 0.7500 0.2500  4 Sn 2.83, 4 Np 2.83
Cu: 0.7500 0.2500 0.2500  4 Sn 2.83, 4 Np 2.83
Cu: 0.7500 0.7500 0.7500  4 Np 2.83, 4 Sn 2.83
Sn: 0.0000 0.0000 0.5000  4 Cu 2.83
Sn: 0.0000 0.5000 0.0000  4 Cu 2.83
Sn: 0.5000 0.0000 0.0000  4 Cu 2.83
Sn: 0.5000 0.5000 0.5000  4 Cu 2.83

Number 1: energy relative to the elements -0.094 eV/atom. Number 2: energy relative to the elements -0.066 eV/atom. Number 3: energy relative to the elements 0.086 eV/atom.

Sherry: “Ok, so this might be some work.  Prior to me getting there, just make sure to look at her eyebrows.”

Nicole: “Dogs have eyebrows??”

Sherry: “Well not technically, but look for movement in her face, especially above the eyes; this will the clue that she is feeling safe.”

So, we spent a couple of days really investigating facial movements.  Frozen?  Deer in the headlights?  Relaxed?  To out myself, however, I was probably staring intently at her to ascertain this which I would soon learn is counterproductive.

A month after we found Willow, or Feral Fawcett as she is sometimes called, I was off to my first RO DBT intensive as a delegate.  I debated cancelling as we had a lot on our plate with 5 resident animals and the new addition.  But thankfully I did not, as my third introduction to the importance of eyebrows came in this first intensive.  Thomas Lynch and Erica Smith–Lynch, who were facilitating, spoke of eyebrow wags (e.g. raised eyebrows) and the universal social signal of cooperation this sends.  Specifically, they also spoke to how this was critical in activating social safety in both ‘eyebrow wagger’ and ‘wagger receiver.’

In RO DBT we teach eyebrow wags early on in our curriculum to get our clients practicing inside AND outside skills class. We teach the fun fact that we have 10000 facial movements available in our repertoire but we normally only use 100.  In my experience, some clients are reluctant to believe that the raised eyebrows will actually work as a powerful social signal or believe that it will be reciprocated.   That’s also why as skills instructors we are modelling it – to activate the social safety of those in the class and ourselves – and to give the message, “hey, I like you and you are in my tribe.”  Of course, there are many other social signals we model and teach, but the eye brow wag and the exercises we practice associated with it allow clients to viscerally experience the difference between a threat state (frozen or flat face) and a safety state (open expression). It has been my experience it is one of the pro-social signals that is a great ‘take away’ for my OC clients.  In the words of one reluctant client, “this eyebrow shit really works.”

So my challenge to you is to practice your eyebrow wags.  Side effects may include smiling, a sense of calm, and feeling friendly. You may also experience people in your vicinity being kinder to you, offering to help you and generally being more engaged.  Of course, if you are a member of the Little family, side effects may also include bushy eyebrows.  While I can’t discern whether bushy eyebrows are sexy per say, they are a powerful social signal of cooperation when they are raised.

About the author: J. Nicole Little, Ph.D., R.C.C.

Nicole is a therapist specializing in eating disorders and other conditions of overcontrol in Victoria, B.C., Canada.  She has also taught for 13 years at Universities and colleges. Her passions are RO DBT and animal assisted therapy.